Assignment =
Your job: give back the lines further down up to the one that holds "0.5000 0.0689", that line included.
Listing =
-- begin --
# 1
The following is a PBE calculation of an optimized crystal structure of ErSbAsO, from the Open Quantum Materials Database.

Properties
The value obtained for the distance to the lowest polymorph of the same formula is 0.85 eV per formula unit. The magnetic moment is 0.01 μB per cell.

Cell lengths 5.1434, 6.0099, 6.1593 Å; angles 90.00, 90.00, 90.00 degrees
With the nearest neighbours (Å) after each atom.
Sites, in units of the cell vectors:
Sb 0.0000 0.7389 0.9193  2 O 2.66, 2 As 2.71-2.88
Sb 0.0000 0.2611 0.4193  2 O 2.66, 2 As 2.71-2.88
O 0.5000 0.3731 0.3959  2 Er 2.10-2.11
O 0.5000 0.6269 0.8959  2 Er 2.10-2.11
As 0.0000 0.8113 0.3815  2 Sb 2.71-2.88, 2 Er 2.90
As 0.0000 0.1887 0.8815  2 Sb 2.71-2.88, 2 Er 2.90
Er 0.5000 0.6804 0.5573  2 O 2.10-2.11
Er 0.5000 0.3196 0.0573  2 O 2.10-2.11

=====

# 2
The following is a PBE calculation of an optimized crystal structure of ErScAsO, from the Open Quantum Materials Database.

Properties
The value obtained for the distance to the lowest polymorph of the same formula is 0.32 eV per formula unit. The magnetic moment is 0.03 μB per cell.

Cell lengths 4.1172, 6.9847, 5.8566 Å; angles 90.00, 90.00, 90.00 degrees
With the nearest neighbours (Å) after each atom.
Sites, in units of the cell vectors:
As 0.0000 0.8068 0.4175  2 Sc 2.61, 2 Er 2.79-2.88
As 0.0000 0.1932 0.9175  2 Sc 2.61, 2 Er 2.79-2.88
O 0.5000 0.3321 0.3773  2 Sc 2.07, 2 Er 2.26
O 0.5000 0.6679 0.8773  2 Sc 2.07, 2 Er 2.26
Sc 0.5000 0.5985 0.5329  2 O 2.07
Sc 0.5000 0.4015 0.0329  2 O 2.07
Er 0.0000 0.2059 0.4263  2 O 2.26
Er 0.0000 0.7941 0.9263  2 O 2.26

=====

# 3
The following is a PBE calculation of an optimized crystal structure of ErScAsO, from the Open Quantum Materials Database.

Properties
The value obtained for the distance to the lowest polymorph of the same formula is 0.15 eV per formula unit. The magnetic moment is 0.03 μB per cell.

Cell lengths 4.1416, 4.1416, 8.6281 Å; angles 90.00, 90.00, 90.00 degrees
With the nearest neighbours (Å) after each atom.
Sites, in units of the cell vectors:
O 0.5000 0.5000 0.0000  4 Er 2.28
O 0.0000 0.0000 0.0000  4 Er 2.28
Er 0.5000 0.0000 0.1105  4 O 2.28
Er 0.0000 0.5000 0.8895  4 O 2.28
Sc 0.0000 0.0000 0.5000  4 As 2.66, 4 Sc 2.93
Sc 0.5000 0.5000 0.5000  4 As 2.66, 4 Sc 2.93
As 0.0000 0.5000 0.3062  4 Sc 2.66
As 0.5000 0.0000 0.6938  4 Sc 2.66

=====

# 4
The following is a PBE calculation of an optimized crystal structure of ErScAsO, from the Open Quantum Materials Database.

Properties
The value obtained for the distance to the lowest polymorph of the same formula is 1.75 eV per formula unit. The magnetic moment is 0.13 μB per cell.

Cell lengths 4.2649, 4.2649, 8.2756 Å; angles 90.00, 90.00, 90.00 degrees
With the nearest neighbours (Å) after each atom.
Sites, in units of the cell vectors:
Er 0.5000 0.5000 0.5000  4 As 2.78, 4 Er 3.02
Er 0.0000 0.0000 0.5000  4 As 2.78, 4 Er 3.02
As 0.0000 0.5000 0.2847  4 Er 2.78, 1 Sc 2.98
As 0.5000 0.0000 0.7153  4 Er 2.78, 1 Sc 2.98
Sc 0.0000 0.5000 0.9240  4 O 2.22
Sc 0.5000 0.0000 0.0760  4 O 2.22
O 0.5000 0.5000 0.0000  4 Sc 2.22
O 0.0000 0.0000 0.0000  4 Sc 2.22

=====

# 5
The following is a PBE calculation of an optimized crystal structure of ErScAsO, from the Open Quantum Materials Database.

Properties
The value obtained for the distance to the lowest polymorph of the same formula is 0.00 eV per formula unit. The magnetic moment is 1.81 μB per cell.

Cell lengths 3.9603, 5.7877, 6.8181 Å; angles 90.00, 90.00, 90.00 degrees
With the nearest neighbours (Å) after each atom.
Sites, in units of the cell vectors:
Er 0.5000 0.0689 0.6048  2 O 2.28-2.37
Er 0.5000 0.9311 0.1048  2 O 2.28-2.37
O 0.5000 0.2592 0.8969  2 Sc 2.08, 1 Er 2.28
O 0.5000 0.7408 0.3969  2 Sc 2.08, 1 Er 2.28
As 0.0000 0.8048 0.8154  2 Sc 2.70-2.75, 4 Er 2.88-2.89
As 0.0000 0.1952 0.3154  2 Sc 2.70-2.75, 4 Er 2.88-2.89
Sc 0.0000 0.6400 0.4369  2 O 2.08
Sc 0.0000 0.3600 0.9369  2 O 2.08

=====

# 6
-- stop --
Result =
# 1
The following is a PBE calculation of an optimized crystal structure of ErSbAsO, from the Open Quantum Materials Database.

Properties
The value obtained for the distance to the lowest polymorph of the same formula is 0.85 eV per formula unit. The magnetic moment is 0.01 μB per cell.

Cell lengths 5.1434, 6.0099, 6.1593 Å; angles 90.00, 90.00, 90.00 degrees
With the nearest neighbours (Å) after each atom.
Sites, in units of the cell vectors:
Sb 0.0000 0.7389 0.9193  2 O 2.66, 2 As 2.71-2.88
Sb 0.0000 0.2611 0.4193  2 O 2.66, 2 As 2.71-2.88
O 0.5000 0.3731 0.3959  2 Er 2.10-2.11
O 0.5000 0.6269 0.8959  2 Er 2.10-2.11
As 0.0000 0.8113 0.3815  2 Sb 2.71-2.88, 2 Er 2.90
As 0.0000 0.1887 0.8815  2 Sb 2.71-2.88, 2 Er 2.90
Er 0.5000 0.6804 0.5573  2 O 2.10-2.11
Er 0.5000 0.3196 0.0573  2 O 2.10-2.11

=====

# 2
The following is a PBE calculation of an optimized crystal structure of ErScAsO, from the Open Quantum Materials Database.

Properties
The value obtained for the distance to the lowest polymorph of the same formula is 0.32 eV per formula unit. The magnetic moment is 0.03 μB per cell.

Cell lengths 4.1172, 6.9847, 5.8566 Å; angles 90.00, 90.00, 90.00 degrees
With the nearest neighbours (Å) after each atom.
Sites, in units of the cell vectors:
As 0.0000 0.8068 0.4175  2 Sc 2.61, 2 Er 2.79-2.88
As 0.0000 0.1932 0.9175  2 Sc 2.61, 2 Er 2.79-2.88
O 0.5000 0.3321 0.3773  2 Sc 2.07, 2 Er 2.26
O 0.5000 0.6679 0.8773  2 Sc 2.07, 2 Er 2.26
Sc 0.5000 0.5985 0.5329  2 O 2.07
Sc 0.5000 0.4015 0.0329  2 O 2.07
Er 0.0000 0.2059 0.4263  2 O 2.26
Er 0.0000 0.7941 0.9263  2 O 2.26

=====

# 3
The following is a PBE calculation of an optimized crystal structure of ErScAsO, from the Open Quantum Materials Database.

Properties
The value obtained for the distance to the lowest polymorph of the same formula is 0.15 eV per formula unit. The magnetic moment is 0.03 μB per cell.

Cell lengths 4.1416, 4.1416, 8.6281 Å; angles 90.00, 90.00, 90.00 degrees
With the nearest neighbours (Å) after each atom.
Sites, in units of the cell vectors:
O 0.5000 0.5000 0.0000  4 Er 2.28
O 0.0000 0.0000 0.0000  4 Er 2.28
Er 0.5000 0.0000 0.1105  4 O 2.28
Er 0.0000 0.5000 0.8895  4 O 2.28
Sc 0.0000 0.0000 0.5000  4 As 2.66, 4 Sc 2.93
Sc 0.5000 0.5000 0.5000  4 As 2.66, 4 Sc 2.93
As 0.0000 0.5000 0.3062  4 Sc 2.66
As 0.5000 0.0000 0.6938  4 Sc 2.66

=====

# 4
The following is a PBE calculation of an optimized crystal structure of ErScAsO, from the Open Quantum Materials Database.

Properties
The value obtained for the distance to the lowest polymorph of the same formula is 1.75 eV per formula unit. The magnetic moment is 0.13 μB per cell.

Cell lengths 4.2649, 4.2649, 8.2756 Å; angles 90.00, 90.00, 90.00 degrees
With the nearest neighbours (Å) after each atom.
Sites, in units of the cell vectors:
Er 0.5000 0.5000 0.5000  4 As 2.78, 4 Er 3.02
Er 0.0000 0.0000 0.5000  4 As 2.78, 4 Er 3.02
As 0.0000 0.5000 0.2847  4 Er 2.78, 1 Sc 2.98
As 0.5000 0.0000 0.7153  4 Er 2.78, 1 Sc 2.98
Sc 0.0000 0.5000 0.9240  4 O 2.22
Sc 0.5000 0.0000 0.0760  4 O 2.22
O 0.5000 0.5000 0.0000  4 Sc 2.22
O 0.0000 0.0000 0.0000  4 Sc 2.22

=====

# 5
The following is a PBE calculation of an optimized crystal structure of ErScAsO, from the Open Quantum Materials Database.

Properties
The value obtained for the distance to the lowest polymorph of the same formula is 0.00 eV per formula unit. The magnetic moment is 1.81 μB per cell.

Cell lengths 3.9603, 5.7877, 6.8181 Å; angles 90.00, 90.00, 90.00 degrees
With the nearest neighbours (Å) after each atom.
Sites, in units of the cell vectors:
Er 0.5000 0.0689 0.6048  2 O 2.28-2.37